-- To do --
What is needed: return the notes underneath character by character.

-- Contents --
'''
# Hf2FeTc PBE-GGA optimized geometry
# Formation energy, eV/atom: 0.326
# E_tot, Ry/atom: -0.688
# Spin magnetization, μB/cell: 5.26
# Fermi-level density of states, states/eV per cell: 15.121
# Crystal system: tetragonal
# Energy above the lowest structure with this stoichiometry, meV/atom: 728
data_Hf2FeTc
_chemical_formula_sum 'Hf8 Fe4 Tc4'
_cell_length_a 7.013
_cell_length_b 7.013
_cell_length_c 5.763
_cell_angle_alpha 90.00
_cell_angle_beta 90.00
_cell_angle_gamma 90.00
_space_group_name_H-M_alt 'I -4 2 d'
_space_group_IT_number 122
_space_group_name_Hall 'I -4 2bw'
loop_
_atom_site_label
_atom_site_type_symbol
_atom_site_fract_x
_atom_site_fract_y
_atom_site_fract_z
_atom_site_occupancy
Hf1 Hf 0.235 0.750 0.125 1
Fe1 Fe 0.000 0.000 0.000 1
Tc1 Tc 0.000 0.000 0.500 1

* * * * *

A plane-wave DFT calculation with PBE was carried out for a relaxed structure of Pr2AuBr.

```
Pr2AuBr
1.0
4.355 0.000 0.000
2.177 3.771 0.000
2.177 1.257 7.355
Pr Au Br
2 1 1
Direct
0.258 0.258 0.227 Pr
0.742 0.742 0.773 Pr
0.000 0.000 0.000 Au
0.500 0.500 0.500 Br
```

Computed properties:
formation energy (no corrections): -964 meV/atom
total magnetic moment: 0.00 μB per formula unit

---

A plane-wave DFT calculation with PBE was carried out for a relaxed structure of Pr4PtAuBr2.

```
Pr4PtAuBr2
1.0
-0.539 -4.128 -1.029
-0.866 -1.846 7.860
-7.224 0.525 1.677
Pr Pt Au Br
4 1 1 2
Direct
0.000 0.706 0.770 Pr
0.000 0.294 0.230 Pr
0.500 0.710 0.251 Pr
0.500 0.290 0.749 Pr
0.500 0.500 0.000 Pt
0.000 0.500 0.500 Au
0.000 0.000 0.000 Br
0.500 0.000 0.500 Br
```

Computed properties:
formation energy (no corrections): -1097 meV/atom
total magnetic moment: 0.00 μB per formula unit

---

A plane-wave DFT calculation with PBE was carried out for a relaxed structure of Pr8Pt3AuBr4.

```
Pr8Pt3AuBr4
1.0
-1.152 -7.474 4.030
7.365 1.700 5.258
-6.274 5.834 -0.084
Pr Pt Au Br
8 3 1 4
Direct
0.238 0.702 0.964 Pr
0.238 0.702 0.477 Pr
0.266 0.299 0.533 Pr
0.726 0.702 0.964 Pr
0.274 0.298 0.036 Pr
0.734 0.701 0.467 Pr
0.762 0.298 0.523 Pr
0.762 0.298 0.036 Pr
0.500 0.500 0.000 Pt
0.500 0.500 0.500 Pt
0.000 0.500 0.500 Pt
0.000 0.500 0.000 Au
0.500 0.000 0.000 Br
0.500 0.000 0.500 Br
0.000 0.000 0.000 Br
0.000 0.000 0.500 Br
```

Computed properties:
formation energy (no corrections): -1168 meV/atom
total magnetic moment: 0.00 μB per formula unit

---

A plane-wave DFT calculation with PBE was carried out for a relaxed structure of Pr8Rh3AuBr4.

```
Pr8Rh3AuBr4
1.0
8.434 0.000 0.000
0.000 9.216 0.549
-4.217 -4.218 5.961
Pr Rh Au Br
8 3 1 4
Direct
0.239 0.698 0.959 Pr
0.239 0.698 0.479 Pr
0.267 0.301 0.534 Pr
0.720 0.698 0.959 Pr
0.280 0.302 0.041 Pr
0.733 0.699 0.466 Pr
0.761 0.302 0.521 Pr
0.761 0.302 0.041 Pr
0.500 0.500 0.000 Rh
0.500 0.500 0.500 Rh
0.000 0.500 0.500 Rh
0.000 0.500 0.000 Au
0.500 0.000 0.000 Br
0.500 0.000 0.500 Br
0.000 0.000 0.000 Br
0.000 0.000 0.500 Br
```

Computed properties:
formation energy (no corrections): -1041 meV/atom
total magnetic moment: 0.00 μB per formula unit

---

A plane-wave DFT calculation with PBE was carried out for a relaxed structure of Pr8Ru3AuBr4.

```
Pr8Ru3AuBr4
1.0
-0.245 -7.239 4.174
6.744 2.997 5.594
-6.858 4.753 -0.533
Pr Ru Au Br
8 3 1 4
Direct
0.242 0.698 0.956 Pr
0.242 0.698 0.484 Pr
0.266 0.299 0.533 Pr
0.714 0.698 0.956 Pr
0.286 0.302 0.044 Pr
0.734 0.701 0.467 Pr
0.758 0.302 0.516 Pr
0.758 0.302 0.044 Pr
0.500 0.500 0.000 Ru
0.500 0.500 0.500 Ru
0.000 0.500 0.500 Ru
0.000 0.500 0.000 Au
0.500 0.000 0.000 Br
0.500 0.000 0.500 Br
0.000 0.000 0.000 Br
0.000 0.000 0.500 Br
```

Computed properties:
formation energy (no corrections): -850 meV/atom
total magnetic moment: 0.00 μB per formula unit

---

A plane-wave DFT calculation with PBE was carried out for a relaxed structure of Pr6AuS2Br3.

```
Pr6AuS2Br3
1.0
7.135 0.002 0.008
-3.564 6.181 0.008
-1.183 -2.048 7.637
Pr Au S Br
6 1 2 3
Direct
0.930 0.579 0.788 Pr
0.719 0.719 0.209 Pr
0.070 0.421 0.212 Pr
0.579 0.930 0.788 Pr
0.281 0.281 0.791 Pr
'''

-- Result --
# Hf2FeTc PBE-GGA optimized geometry
# Formation energy, eV/atom: 0.326
# E_tot, Ry/atom: -0.688
# Spin magnetization, μB/cell: 5.26
# Fermi-level density of states, states/eV per cell: 15.121
# Crystal system: tetragonal
# Energy above the lowest structure with this stoichiometry, meV/atom: 728
data_Hf2FeTc
_chemical_formula_sum 'Hf8 Fe4 Tc4'
_cell_length_a 7.013
_cell_length_b 7.013
_cell_length_c 5.763
_cell_angle_alpha 90.00
_cell_angle_beta 90.00
_cell_angle_gamma 90.00
_space_group_name_H-M_alt 'I -4 2 d'
_space_group_IT_number 122
_space_group_name_Hall 'I -4 2bw'
loop_
_atom_site_label
_atom_site_type_symbol
_atom_site_fract_x
_atom_site_fract_y
_atom_site_fract_z
_atom_site_occupancy
Hf1 Hf 0.235 0.750 0.125 1
Fe1 Fe 0.000 0.000 0.000 1
Tc1 Tc 0.000 0.000 0.500 1

* * * * *

A plane-wave DFT calculation with PBE was carried out for a relaxed structure of Pr2AuBr.

```
Pr2AuBr
1.0
4.355 0.000 0.000
2.177 3.771 0.000
2.177 1.257 7.355
Pr Au Br
2 1 1
Direct
0.258 0.258 0.227 Pr
0.742 0.742 0.773 Pr
0.000 0.000 0.000 Au
0.500 0.500 0.500 Br
```

Computed properties:
formation energy (no corrections): -964 meV/atom
total magnetic moment: 0.00 μB per formula unit

---

A plane-wave DFT calculation with PBE was carried out for a relaxed structure of Pr4PtAuBr2.

```
Pr4PtAuBr2
1.0
-0.539 -4.128 -1.029
-0.866 -1.846 7.860
-7.224 0.525 1.677
Pr Pt Au Br
4 1 1 2
Direct
0.000 0.706 0.770 Pr
0.000 0.294 0.230 Pr
0.500 0.710 0.251 Pr
0.500 0.290 0.749 Pr
0.500 0.500 0.000 Pt
0.000 0.500 0.500 Au
0.000 0.000 0.000 Br
0.500 0.000 0.500 Br
```

Computed properties:
formation energy (no corrections): -1097 meV/atom
total magnetic moment: 0.00 μB per formula unit

---

A plane-wave DFT calculation with PBE was carried out for a relaxed structure of Pr8Pt3AuBr4.

```
Pr8Pt3AuBr4
1.0
-1.152 -7.474 4.030
7.365 1.700 5.258
-6.274 5.834 -0.084
Pr Pt Au Br
8 3 1 4
Direct
0.238 0.702 0.964 Pr
0.238 0.702 0.477 Pr
0.266 0.299 0.533 Pr
0.726 0.702 0.964 Pr
0.274 0.298 0.036 Pr
0.734 0.701 0.467 Pr
0.762 0.298 0.523 Pr
0.762 0.298 0.036 Pr
0.500 0.500 0.000 Pt
0.500 0.500 0.500 Pt
0.000 0.500 0.500 Pt
0.000 0.500 0.000 Au
0.500 0.000 0.000 Br
0.500 0.000 0.500 Br
0.000 0.000 0.000 Br
0.000 0.000 0.500 Br
```

Computed properties:
formation energy (no corrections): -1168 meV/atom
total magnetic moment: 0.00 μB per formula unit

---

A plane-wave DFT calculation with PBE was carried out for a relaxed structure of Pr8Rh3AuBr4.

```
Pr8Rh3AuBr4
1.0
8.434 0.000 0.000
0.000 9.216 0.549
-4.217 -4.218 5.961
Pr Rh Au Br
8 3 1 4
Direct
0.239 0.698 0.959 Pr
0.239 0.698 0.479 Pr
0.267 0.301 0.534 Pr
0.720 0.698 0.959 Pr
0.280 0.302 0.041 Pr
0.733 0.699 0.466 Pr
0.761 0.302 0.521 Pr
0.761 0.302 0.041 Pr
0.500 0.500 0.000 Rh
0.500 0.500 0.500 Rh
0.000 0.500 0.500 Rh
0.000 0.500 0.000 Au
0.500 0.000 0.000 Br
0.500 0.000 0.500 Br
0.000 0.000 0.000 Br
0.000 0.000 0.500 Br
```

Computed properties:
formation energy (no corrections): -1041 meV/atom
total magnetic moment: 0.00 μB per formula unit

---

A plane-wave DFT calculation with PBE was carried out for a relaxed structure of Pr8Ru3AuBr4.

```
Pr8Ru3AuBr4
1.0
-0.245 -7.239 4.174
6.744 2.997 5.594
-6.858 4.753 -0.533
Pr Ru Au Br
8 3 1 4
Direct
0.242 0.698 0.956 Pr
0.242 0.698 0.484 Pr
0.266 0.299 0.533 Pr
0.714 0.698 0.956 Pr
0.286 0.302 0.044 Pr
0.734 0.701 0.467 Pr
0.758 0.302 0.516 Pr
0.758 0.302 0.044 Pr
0.500 0.500 0.000 Ru
0.500 0.500 0.500 Ru
0.000 0.500 0.500 Ru
0.000 0.500 0.000 Au
0.500 0.000 0.000 Br
0.500 0.000 0.500 Br
0.000 0.000 0.000 Br
0.000 0.000 0.500 Br
```

Computed properties:
formation energy (no corrections): -850 meV/atom
total magnetic moment: 0.00 μB per formula unit

---

A plane-wave DFT calculation with PBE was carried out for a relaxed structure of Pr6AuS2Br3.

```
Pr6AuS2Br3
1.0
7.135 0.002 0.008
-3.564 6.181 0.008
-1.183 -2.048 7.637
Pr Au S Br
6 1 2 3
Direct
0.930 0.579 0.788 Pr
0.719 0.719 0.209 Pr
0.070 0.421 0.212 Pr
0.579 0.930 0.788 Pr
0.281 0.281 0.791 Pr